Don’t Look Back: A Lesson In Trust and Faith

Don’t Look Back: A Lesson In Trust and Faith

Many of us are holding onto things that we cannot change.  Let me paint you a picture: you have prayed for so long to get yourself out of that sinful place, whether that is fear, guilt, greed, jealousy, or animosity.  You have asked the Lord to deliver you from your plagued spirit.  Yet, when you ask the Lord to bring you through, past your troubled state, you keep looking back.  Why are you looking back? Are you afraid of rejection? Are you afraid of what others might say? Are you afraid of what the future holds? What are you holding on to? 

The story of Lot and his family escaping Sodom and Gomorrah perfectly represents the toxicity of looking back and holding onto things of the past.

The angels seized his hand and the hands of his wife and two daughters and rushed them to safety outside the city, for the Lord was merciful. When they were safely out of the city, one of the angels ordered, “Run for your lives! And don’t look back or stop anywhere in the valley! Escape to the mountains, or you will be swept away!”  (Genesis 19:17-18)

In this text, Lot and his family received a clear warning from the Lord to “Run for your lives and don’t look back”.  Lot hesitated when receiving this command, probably because he did not want to abandon the wealth, comfort or position that he had in Sodom. Lot had lived so long with ungodly people and became complacent with such behavior that he allowed his environment to shape him, instead of him shaping his environment. He didn’t want to leave what he thought to be “Good Life.”  But what Lot thought was good was actually ruining his spirit. The vast amount of sin and debauchery was harming him and his family instead of healing them. God loved him and his family so much that he told the angels to help them escape from the wasteland of Sodom in order to be saved. It goes to show that no matter how deep in pain and sin you may be, if you have faith, there is always a road to salvation.

Lot’s Wife was also attached to the things that she left behind.  She was attached to her old lifestyle that she had in Sodom.  Attached to the prestige and the comfort of her home and wealth. But by being attached to Sodom, she was also attached to the wickedness that was taking place in the city. In fact, she was so attached that she just had to take a last look at Sodom. She looked back at what she thought she was losing, what she believed she was missing out on, what she thought she was leaving behind. Her heart was not fully cut off from the things of her old life.  When she decided to look back, she immediately turned into a pillar of salt, and stuck in the wasteland that she was ordered to escape from. Lot’s Wife ultimately allowed the lifestyle of Sodom to contaminate her spirit.  Because of her stronghold, she failed to see how God was moving her to be, and all that she could gain with her life renewed and bountiful. Lot’s Wife did not trust that God was looking out for her best interests when evacuating Sodom. She clearly disregards the warning, help, and guidance of God, and as a result, ended up losing everything. Lot’s Wife serves as a reminder that without faith, and without the full trust in God, one has nothing.

(Molecular data, as found in the file)
********
Formula: C6H7Br2NOS
Source: the OMol25 dataset
Level of theory: wB97M-V/def2-TZVPD

XYZ file:
```
18
C6H7Br2NOS | the OMol25 dataset | wB97M-V/def2-TZVPD
C -1.92 -0.40 0.41
C -0.70 -0.02 -0.15
C 0.39 -0.79 0.01
C 1.74 -0.27 -0.41
C 0.17 -2.09 0.65
C -2.33 2.62 0.14
N -2.99 -0.57 0.80
O -3.37 2.40 -0.63
S -0.61 1.62 -0.67
Br 0.62 -3.36 -0.99
Br -1.83 4.51 0.25
H 2.61 -0.92 0.08
H 2.00 0.70 -0.10
H 1.67 -0.20 -1.43
H 0.98 -2.49 1.27
H -0.86 -2.47 0.72
H -2.27 2.12 1.06
H -3.20 3.03 -1.37
```

Energy relative to the best compared isomer or geometry (same formula, charge and spin) = 0.191 eV
Electronic energy = -160790.581 eV
SMILES = C/C(CBr)=C(/C#N)S[C@H](O)Br
Strongest force on any atom = 4.989 eV Å⁻¹
Multiplicity = 1
Charge = 0

How positive or negative is each atom? The Mulliken charges in e answer that: C -0.2731; C 0.8608; C 0.5716; C -1.6785; C -0.8090; C -0.5388; N -0.4278; O -0.3616; S -0.1382; Br -0.1816; Br -0.1078; H 0.2609; H 0.5424; H 0.5087; H 0.3803; H 0.3361; H 0.6362; H 0.4193

Formula: C13H27ClIN2OP2Y
Source: the OMol25 dataset
Level of theory: wB97M-V/def2-TZVPD

XYZ file:
```
48
C13H27ClIN2OP2Y | the OMol25 dataset | wB97M-V/def2-TZVPD
C 4.70 0.61 -1.60
C 3.98 1.83 -1.10
H 4.15 -0.30 -1.34
H 5.70 0.54 -1.14
H 4.80 0.65 -2.69
O 2.96 1.70 -0.40
I 1.89 3.91 -1.09
Y -0.34 -0.42 0.03
P -0.60 0.51 -2.53
C -1.79 -0.48 -3.51
C -0.95 2.21 -3.09
H -0.83 2.29 -4.18
H 0.84 0.32 -4.47
H -0.25 2.90 -2.59
H 1.75 0.86 -3.02
H -2.81 -0.14 -3.29
H -1.98 2.48 -2.80
C 0.98 0.17 -3.39
H -1.58 -0.36 -4.58
H 1.30 -0.86 -3.20
H -1.70 -1.54 -3.24
P 0.52 0.81 2.30
C -0.09 -0.12 3.76
C 2.33 0.63 2.47
H 0.65 3.18 1.93
H 0.85 2.76 3.68
H -0.78 2.74 2.91
C 0.29 2.55 2.76
H 2.81 1.03 1.56
H 2.66 1.20 3.35
H 0.03 0.52 4.65
H 0.51 -1.03 3.88
H 2.58 -0.43 2.59
H -1.15 -0.39 3.62
Cl 4.90 3.26 -1.34
N -3.16 -0.65 2.40
C -2.99 -1.78 1.62
C -3.50 -3.03 1.92
C -3.14 -4.10 1.10
C -2.23 -3.90 0.05
C -1.69 -2.66 -0.16
N -2.11 -1.57 0.60
H -3.06 0.24 1.94
H -3.87 -0.70 3.13
H -4.14 -3.14 2.80
H -3.54 -5.10 1.28
H -1.93 -4.73 -0.60
H -0.97 -2.46 -0.99
```

Energy relative to the best compared isomer or geometry (same formula, charge and spin) = 3.944 eV
Electronic energy = -59175.420 eV
Strongest force on any atom = 2.851 eV Å⁻¹
Multiplicity = 1
Charge = +2

How positive or negative is each atom? The Mulliken charges in e answer that: C -1.1647; C 0.7125; H 0.2454; H 0.4105; H 0.3733; O -0.4182; I -0.0183; Y 0.1841; P 0.8086; C -1.1905; C -0.7991; H 0.3803; H 0.4318; H -0.0188; H 0.1796; H 0.3709; H 0.3668; C -1.0308; H 0.3988; H 0.3869; H 0.3395; P 0.8607; C -1.0442; C -0.8076; H 0.2289; H 0.4136; H 0.3671; C -1.1428; H 0.0041; H 0.3655; H 0.3804; H 0.3847; H 0.3964; H 0.2484; Cl -0.0608; N -0.4343; C 0.7321; C -0.6805; C -0.2224; C -0.8183; C 0.0879; N -0.1578; H 0.2100; H 0.2417; H 0.3244; H 0.4374; H 0.4029; H 0.3339

Formula: C9H14
Source: the OMol25 dataset
Level of theory: wB97M-V/def2-TZVPD

XYZ file:
```
23
C9H14 | the OMol25 dataset | wB97M-V/def2-TZVPD
********
(The molecular data stop here)

We too are guilty of holding on to our past lives, whether for comfort, validation, or more importantly control. We don’t take the warnings from God seriously. We dip and dap back into our lifestyle, doing a little bit of what we shouldn’t be doing and then switching back to righteous behavior. We find ourselves going back to that old relationship or friendship that was toxic, just to “catch up” with them. Before we know it we find ourselves slipping right back into the same patterns, the same relationships, and the same actions that were hurting instead of healing us. However, The Bible tells us to “Trust in the Lord with all thy heart and lean not unto thy own understanding and in all thy ways acknowledge him and he shall direct your path.” Jesus is the author and finisher of our Faith.  Jesus is the one who is in control of your life.  Jesus is your healer, Jesus is your creator, Jesus is your provider and comforter. Stop living your life halfway and put all your faith unto Him. Step into your full life right now. Take a stand, and give your all to Jesus Christ, for you will have eternal Life.     

For that reason, it is time to hit the fast forward button and move on to the next chapter, the next season, the next blessing, the next breakthrough, and the next deliverance that God has for our lives. Today, I will leave the comforts of the present and I will take a stand. I will no longer look back and concentrate on the past. From this day forth, I am pressing towards my future. I am putting all of my faith unto him, and trusting him to guide me in my pathway. Jesus paid the price on Calvary so that we all might have life and have it abundantly. No more carrying the guilt, no more carrying the shame, no more doubting the decisions that were once made.  Today marks a new day towards the rest of your life. Today is your new beginning. Today, you have received a fresh start in the name of Jesus.  Amen!!